Saturday, September 11, 2010


Praise God, everything went well yesterday. I felt fine and went to the appointments with the nutritionist and GDM educator. They are both RNs and very aware of what I should be doing to keep Joseph and myself healthy.

They were both so very kind and set me at ease very quickly. In order to meet with them at the hospital I am using for delivery, I had to go through admitting and be sent up to the Labor and Delivery Unit. I really felt out of place there and worried. I had a armband and everything. The admitting staff told me that I had to sign waivers just in case the nurses decided to admit me to the hospital today. They mentioned that sometimes happens. Alarm bells go off!

It turns out that I am still not really eating enough food, carbs included. Yet the foods I have been trying to incorporate more into my diet like milk and orange juice raise my sugar levls very quickly because they are absorbed so fast. They told me to try to combine certain types of food, like break and peanut butter because the protein slows down the digestion so that the sugar levels from the bread don't cause a quick rise in my blood sugar. I found out that 4 oz of oj is considered 1 carb serving and one cup of milk (skim) is 1 carb serving. I am to stay away from the juices for awhile to see if this is a factor my changing sugar levels.

When they taught me how to use the new glucose monitoring device, I was suprised that my sugar levels were within the normal limits that my doctor wants to see for me. I tested for the rest of the day and they were all within the normal limits. I am supposed to test four times a day - upon waking (fasting), two hours after breakfast, two hours after lunch, and two hours after supper. All day long they were where they needed to be, yet this morning my fasting blood sugar was elevated above what they want for a fasting level. In fact, it was one point higher than the draw after supper last night. I don't understand that, but that was the same one that was highest for the 3 hr GTT. I will have to ask my doctor about that if it becomes a trend.

From what I can tell from their education and documents that they gave me, since I was severely PCOS (I had double OWR's because of PCOS) and insulin resistant before getting pregnant it was highly likely that I would develop gestational diabetes. Mainly because pregancy hormones from the growing placenta tend to block the normal function of the insulin in breaking down sugar and using it for fuel. My body already had to work hard to overcome this without the additional "blocking" from the placenta.

I will deal with GDM anyday as long as my baby stays healthy and I am grateful that I even have a reason to be having to deal with this. Praise God that Joseph has been letting me know he is growing and moving, it settles my heart so much and causes great joy.

### Calculated crystals, kept here for reference
/*
For Mg3NbRh4, the GGA-PBE geometry in Alexandria gives the simulated powder XRD pattern in this record (Cu Kα).
Intensities are scaled so that the largest is 100.

Cell and atoms:
Cell: 3.2230 4.4333 8.7113 Å, 90.00 90.00 90.00°
Space group Pmmm (No. 47)
Asymmetric unit:
Mg 0.0000 0.0000 0.0000 [1 per cell]
Mg 0.0000 0.5000 0.2431 [2 per cell]
Nb 0.0000 0.0000 0.5000 [1 per cell]
Rh 0.5000 0.0000 0.2635 [2 per cell]
Rh 0.5000 0.5000 0.0000 [1 per cell]
Rh 0.5000 0.5000 0.5000 [1 per cell]

Largest 10 diffraction maxima, low angle first, 2θ from 15° to 90°:
2θ/deg, I/Imax, hkl
27.68, 12, 1 0 0
28.73, 22, 0 1 2
40.32, 100, 1 1 2
40.70, 25, 0 2 0
41.46, 22, 0 0 4
57.16, 9, 2 0 0
59.50, 15, 0 2 4
73.82, 16, 1 3 2
74.86, 14, 1 1 6
87.15, 10, 2 2 4

For MgNbZnRu, the GGA-PBE geometry in Alexandria gives the simulated powder XRD pattern in this record (Cu Kα).
Intensities are scaled so that the largest is 100.

Cell and atoms:
Cell: 6.3426 6.3426 6.3426 Å, 90.00 90.00 90.00°
Space group F-43m (No. 216)
Asymmetric unit:
Mg 0.0000 0.0000 0.0000 [4 per cell]
Nb 0.0000 0.0000 0.5000 [4 per cell]
Zn 0.2500 0.2500 0.2500 [4 per cell]
Ru 0.2500 0.2500 0.7500 [4 per cell]

Largest 10 diffraction maxima, low angle first, 2θ from 15° to 90°:
2θ/deg, I/Imax, hkl
24.31, 17, 1 1 1
28.14, 4, 2 0 0
40.22, 100, 2 2 0
47.55, 8, 3 1 1
58.18, 16, 4 0 0
63.99, 3, 3 3 1
65.85, 1, 4 2 0
73.09, 32, 4 2 2
78.33, 3, 5 1 1
86.88, 10, 4 4 0

For Mg6NbSb, the GGA-PBE geometry in Alexandria gives the simulated powder XRD pattern in this record (Cu Kα).
Intensities are scaled so that the largest is 100.

Cell and atoms:
Cell: 5.0108 6.3813 10.7039 Å, 90.00 90.00 90.00°
Space group Amm2 (No. 38)
Asymmetric unit:
Mg 0.0000 0.0000 0.0000 [2 per cell]
Mg 0.0000 0.2418 0.2541 [4 per cell]
Mg 0.5000 0.0000 0.1682 [2 per cell]
Mg 0.5000 0.2458 0.4194 [4 per cell]
Nb 0.0000 0.0000 0.5033 [2 per cell]
Sb 0.5000 0.0000 0.6610 [2 per cell]

Largest 10 diffraction maxima, low angle first, 2θ from 15° to 90°:
2θ/deg, I/Imax, hkl
16.17, 87, 0 1 1
24.06, 21, 1 1 1
24.33, 30, 1 0 2
32.68, 29, 0 2 2
33.89, 36, 1 1 3
35.84, 39, 2 0 0
37.40, 100, 1 2 2
38.12, 53, 1 0 4
65.44, 19, 3 2 2
71.33, 35, 2 2 6

For MgNbSe, the GGA-PBE geometry in Alexandria gives the simulated powder XRD pattern in this record (Cu Kα).
Intensities are scaled so that the largest is 100.

Cell and atoms:
Cell: 12.4749 3.3464 5.7973 Å, 90.00 90.00 90.00°
Space group Amm2 (No. 38)
Asymmetric unit:
Mg 0.1828 0.0000 0.0000 [4 per cell]
Nb 0.0000 0.0000 0.3330 [2 per cell]
Nb 0.5000 0.0000 0.9979 [2 per cell]
Se 0.3594 0.0000 0.3314 [4 per cell]

Largest 10 diffraction maxima, low angle first, 2θ from 15° to 90°:
2θ/deg, I/Imax, hkl
30.85, 39, 0 1 1
31.69, 8, 1 1 1
37.84, 100, 3 1 1
42.58, 10, 4 0 2
43.53, 10, 6 0 0
48.12, 13, 5 1 1
54.30, 9, 6 0 2
54.86, 24, 0 2 0
68.58, 17, 3 2 2
72.51, 13, 6 2 0

For Mg14NbSn, the GGA-PBE geometry in Alexandria gives the simulated powder XRD pattern in this record (Cu Kα).
*/
### The text goes on

In other news, I will see the perinatologist on 9/20 and I am feeling better about it. Being able to see where I will need to be going yesterday and how nice the staff is at the hospital have settled some of my anxiety. I am nervous that there will be somethings that might suprise, but I am praying that this is just a normal precaution. I was afraid that the t3 or the new synthroid might have created problems for baby Joseph but I have to trust that God is overseeing all of the care we are receiving.

There was a song last night that came on as I was driving home by Jeremy Camp that just reminded me that God is with me and my family - our faith has led us here and will continue to lead us. Here are the lyrics that express the stirrings of my heart.

Would I believe you when you would say
Your hand will guide my every way
Will I receive the words You say
Every moment of every day

Well I will walk by faith
Even when I cannot see
Well because this broken road
Prepares Your will for me

Help me to win my endless fears
You've been so faithful for all my years
With one breath You make me new
Your grace covers all I do

yeah, yeah , yeah, yeah, yeah, ya


Well I'm broken, but I still see Your face
Well You've spoken, pouring Your words of grace

(Chorus x2)
Well hallelujah, hallelu(I will walk by faith)
Well hallelujah, hallelu(I will walk by faith)
I will walk, I will walk, I will walk by faith
I will, I will, I will walk by faith

Thanks for all of your encouraging words and prayers. They are working :) Now I have to catch up on all the blogs. Life has been super busy and I am always so tired after working. Keeping you all in prayer and specifically offering up lots for my beautiful friends still trusting God to grow their families as He sees fit.


  1. Prayers are heading your way!

    Diabetes is no fun... no matter what the circumstances! It's a constant discussion at my house... every meal, every carb choice, everything!!

    We don't even buy juice anymore... it's a no go for us. It just causes all kinds of sugar issues for my hubby. Boo.

    The morning numbers can run higher than the rest at times. It's so strange, but when we went to our diabetes education classes, they talked a lot about it. DH could have a normal reading after a low-carb meal... but then it would be higher in the morning after not eating all night! What? We didn't get it!

    So... our educators said that blood sugar can be affected by stress, sleep, lack of sleep... about everything. Blood sugar can also go up when you haven't had anything for a while... which can cause the higher reading in the morning. It still doesn't seem logical! Our dietician said a very light walk in the evening or a small protein/carb snack can help. We saw a big difference in the morning readings when my DH started to do this! My diabetic dad found this helped his high morning readings (when all the rest were normal) too. Weird!!

    I obviously do NOT know everything about diabetes... I'm not an expert or a doctor... this is just from our experience. Sorry if it's unwanted information.

    I hope everything goes well with this!! Know that that little baby and you are in my prayers!!

### Data records, as found in the file
┌──
Record 1
Structure and simulated powder diffraction line list of AcCePt (the PBE geometry in Alexandria; CuKα).

Main lines, by intensity (15° ≤ 2θ ≤ 90°):
| 2theta | d [Å] | I_rel |
| --- | --- | --- |
| 29.20 | 3.059 | 100 |
| 37.71 | 2.385 | 52 |
| 48.39 | 1.881 | 25 |
| 62.93 | 1.477 | 23 |
| 45.51 | 1.993 | 19 |
| 55.84 | 1.646 | 14 |
| 87.87 | 1.111 | 10 |
| 73.57 | 1.287 | 9 |

Structure:
abc: 4.7703 4.7703 4.5509
angles: 90.00 90.00 120.00
Positions (direct):
Ac1 0.0000 0.0000 0.0000
Ce1 0.3333 0.6667 0.4604
Pt1 0.6667 0.3333 0.6310



Record 2
Structure and simulated powder diffraction line list of Ac2Ce3Pt4 (the PBE geometry in Alexandria; CuKα).

Main lines, by intensity (15° ≤ 2θ ≤ 90°):
| 2theta | d [Å] | I_rel |
| --- | --- | --- |
| 32.29 | 2.772 | 100 |
| 31.99 | 2.798 | 82 |
| 36.03 | 2.493 | 81 |
| 35.13 | 2.555 | 79 |
| 29.59 | 3.019 | 50 |
| 29.85 | 2.993 | 39 |
| 31.88 | 2.807 | 36 |
| 36.51 | 2.461 | 32 |

Structure:
abc: 7.8574 7.9167 8.0967
angles: 90.00 110.00 90.00
Positions (direct):
Ac1 0.1934 0.1761 0.0789
Ac2 0.1934 0.3239 0.5789
Ac3 0.8066 0.6761 0.4211
Ac4 0.8066 0.8239 0.9211
Ce1 0.2478 0.6593 0.2504
Ce2 0.2478 0.8407 0.7504
Ce3 0.5000 0.0000 0.5000
Ce4 0.5000 0.5000 0.0000
Ce5 0.7522 0.1593 0.2496
Ce6 0.7522 0.3407 0.7496
Pt1 0.0931 0.5437 0.8632
Pt2 0.0931 0.9563 0.3632
Pt3 0.4974 0.6350 0.6280
Pt4 0.4974 0.8650 0.1280
Pt5 0.5026 0.1350 0.8720
Pt6 0.5026 0.3650 0.3720
Pt7 0.9069 0.0437 0.6368
Pt8 0.9069 0.4563 0.1368



Record 3
Structure and simulated powder diffraction line list of Ac12CeRh7 (the PBE geometry in Alexandria; CuKα).

Main lines, by intensity (15° ≤ 2θ ≤ 90°):
| 2theta | d [Å] | I_rel |
| --- | --- | --- |
| 29.70 | 3.008 | 100 |
| 25.69 | 3.467 | 48 |
| 42.37 | 2.133 | 39 |
| 42.62 | 2.121 | 38 |
| 52.81 | 1.734 | 20 |
| 70.10 | 1.342 | 17 |
| 69.74 | 1.348 | 17 |
| 50.33 | 1.813 | 16 |

Structure:
abc: 9.4971 9.4971 9.4971
angles: 107.28 107.28 107.28
Positions (direct):
Ac1 0.0492 0.1263 0.3447
Ac2 0.1263 0.3447 0.0492
Ac3 0.1862 0.5750 0.7212
Ac4 0.2788 0.8138 0.4250
Ac5 0.3447 0.0492 0.1263
Ac6 0.4250 0.2788 0.8138
Ac7 0.5750 0.7212 0.1862
Ac8 0.6553 0.9508 0.8737
Ac9 0.7212 0.1862 0.5750
Ac10 0.8138 0.4250 0.2788
Ac11 0.8737 0.6553 0.9508
Ac12 0.9508 0.8737 0.6553
Ce1 0.5000 0.5000 0.5000
Rh1 0.0000 0.0000 0.0000
Rh2 0.1603 0.4731 0.3865
Rh3 0.3865 0.1603 0.4731
Rh4 0.4731 0.3865 0.1603
Rh5 0.5269 0.6135 0.8397
Rh6 0.6135 0.8397 0.5269
Rh7 0.8397 0.5269 0.6135



Record 4
Structure and simulated powder diffraction line list of AcCeRhS4 (the PBE geometry in Alexandria; CuKα).

Main lines, by intensity (15° ≤ 2θ ≤ 90°):
| 2theta | d [Å] | I_rel |
| --- | --- | --- |
| 26.37 | 3.380 | 100 |
| 29.03 | 3.075 | 86 |
| 36.77 | 2.444 | 55 |
| 41.53 | 2.175 | 53 |
| 34.64 | 2.589 | 48 |
| 44.53 | 2.035 | 38 |
| 49.86 | 1.829 | 37 |
| 62.52 | 1.486 | 28 |

Structure:
abc: 4.3493 4.3493 16.1139
angles: 90.00 90.00 90.00
Positions (direct):
Ac1 0.0000 0.0000 0.0000
Ac2 0.5000 0.5000 0.5000
└──
### So much for the data records

  2. So glad your anxiety was relieved! It sounds like you have things under control.

    I hadn't had OJ since starting my low-sugar diet a couple years ago, but if I really craved it I'd get the low sugar kind. Since being pregnant I cheated a few times and had it, but then had to stop due to heart burn. Oh well! Juice isn't for me I guess!

  3. I am so glad that you are feeling better about things! Sounds like you are working with some great folks! I will keep praying for you, sweetie!

  4. AL,

    By regularly updating your blog as you move towards the eternal motherhood experience you are helping many women around the world with the first-hand information.


